How to keep cravings from becoming realities?

I've already eaten breakfast and lunch and I'm just deathly craving mac & cheese. First off, that would put me way over my calories and sodium, etc. So I can't do that. But I just don't know how to keep myself from getting up and making it. I'm sick so I don't really have much energy to distract myself with exercise (though i will be doing some exercise later, just walking and a little running)...

I've heard of drinking water to fill up but that never really works for me 'cause I always want the flavor of whatever I'm craving, not just to be filled up.



  • PinkCoconut
    PinkCoconut Posts: 655 Member
    A few other things I do to distract myself (other than exercise) is to call someone on the phone to talk about ANYTHING but food. HOUSE CLEAN. If you have a hobby or something that you've been putting off, do that. Get OUT of the house! Just go for a walk if you can (it'll help to get some fresh air when you're sick). Read an engrossing book or just look at a lot of motivational websites so you won't want to eat it!

    Hope that helps! Feel free to friend me! :)
  • CA_Underdog
    CA_Underdog Posts: 733 Member
    : First off, that would put me way over my calories and sodium, etc.

    Are you doing home-made? A roux-based mac 'n cheese only has a little cheese, and consequently only a little sodium. Use an extra-sharp cheddar so the cheese flavor shines through despite having so little. I could easily fit that in and make 2,300mg and with effort 1500mg sodium on a 2,000 calorie diet.

    If the 300 calories would make you go over, can you afford to eat a half portion, so you can have the flavor you crave? I had a half-cup of strawberry gelato yesterday. Very yummy!
  • karmac0matic
    karmac0matic Posts: 285
    A few other things I do to distract myself (other than exercise) is to call someone on the phone to talk about ANYTHING but food. HOUSE CLEAN. If you have a hobby or something that you've been putting off, do that. Get OUT of the house! Just go for a walk if you can (it'll help to get some fresh air when you're sick). Read an engrossing book or just look at a lot of motivational websites so you won't want to eat it!

    Hope that helps! Feel free to friend me! :)
    That's actually really helpful :) I'm cleaning my room now to distract myself, then I'm going to look up some low-cal recipes and create a sort of online scrapbook. Thanks!
  • karmac0matic
    karmac0matic Posts: 285
    : First off, that would put me way over my calories and sodium, etc.

    Are you doing home-made? A roux-based mac 'n cheese only has a little cheese, and consequently only a little sodium. Use an extra-sharp cheddar so the cheese flavor shines through despite having so little. I could easily fit that in and make 2,300mg and with effort 1500mg sodium on a 2,000 calorie diet.

    If the 300 calories would make you go over, can you afford to eat a half portion, so you can have the flavor you crave? I had a half-cup of strawberry gelato yesterday. Very yummy!

    My issue is sometimes when I get a flavor I like, I keep going with it. Like, I'll say to myself "only eat half a portion of such-and-such" and end up eating like 4-6 times what I meant to. I have a disordered-eating past/present so it's hard for me to just stop when I want to. So it's not a good idea for me to even take the first bite.
  • thecrushinator
    thecrushinator Posts: 76 Member
    Try lemon or lime in your water. Also I detest dark chocolate, I keep a bag of 86% cacao in my desk to stuff in my mouth when I start thinking about cheating .
  • ChristinWrites
    ChristinWrites Posts: 119 Member
    telling yourself you "can't" have something does tend to intensify cravings. Maybe instead of mac and cheese, you could have an ounce of a really good cheese and a handful of crackers? or even just an ounce of a good cheese with nothing else. That will give you the cheesy flavor. A lot of this is mental - instead of "I can't eat that" ... change it to "I choose not to eat that" - more empowering. Also, don't flat out deny yourself something you truly want - instead, empower yourself to find a way to have something healthier to satisfy the crave - the ounce of good cheese instead of box of mac and cheese etc.
  • CA_Underdog
    CA_Underdog Posts: 733 Member
    > Like, I'll say to myself "only eat half a portion of such-and-such" and end up eating like 4-6 times what I meant to.

    Okay. Cook the smallest portion you can, serve yourself one cup, then toss the rest in the disposal. I am sure there's a way to sate your craving without denying yourself. For me, it helps to immediate "box" or "bag" what I won't be eating. This makes it less tempting to dig in and have one more serving.

    > telling yourself you "can't" have something does tend to intensify cravings.

    Agreed! Allowing myself to have anything makes it easier not to. :)
  • HardyGirl4Ever
    HardyGirl4Ever Posts: 1,017 Member
    I struggle with this often. I find that it helps to post on here. It makes me think about what everyone would say, and somehow it helps. Then I just eat good things like veggies and fruit. This doesn't always work, cuz I have disordered eating as well. But I'm trying, and I take it one day at a time.
  • Lizzy622
    Lizzy622 Posts: 3,705 Member
    > Like, I'll say to myself "only eat half a portion of such-and-such" and end up eating like 4-6 times what I meant to.

    Okay. Cook the smallest portion you can, serve yourself one cup, then toss the rest in the disposal. I am sure there's a way to sate your craving without denying yourself. For me, it helps to immediate "box" or "bag" what I won't be eating. This makes it less tempting to dig in and have one more serving.

    > telling yourself you "can't" have something does tend to intensify cravings.

    Agreed! Allowing myself to have anything makes it easier not to. :)

    This or put the rest in the freezer in small portions for the next craving. I also sometimes just have cauliflower with some cheddar melted on top. It is usually the cheese I crave so I switch around the thing I put it on.
  • SelkathNuggets
    SelkathNuggets Posts: 37 Member
    I'm also really bad with portion control. What's been working for me (around 20 pounds lost so far over 3 months) is just minimizing/eliminating calorie dense food around my house. When I'm looking for a stress food fix, grapes work just as well as chocolate chips but I'll prey on the chocolate 100% of the time if it's available.

    Wrapping grapes in iceberg lettuce gives a strangely satisfying crunchy/juice flavor, definitely recommend trying that out.
  • etscher
    etscher Posts: 41 Member
    I've found it helpful when I have a craving for something only to make a single serving of that thing, so I don't have the temptation to eat a whole pan of it (which I've done way too often).

    If you look on Pinterest, you can usually find single serving recipes of ________ and call it a day. Besides, even if you want more than that one serving, making another serving all over again will be too much work and too many dishes, so you'll be less likely to binge on it.

    But that's just me; if I don't eat the thing I'm craving right then, I'll eventually binge on it.
  • karmac0matic
    karmac0matic Posts: 285
    Thank you everyone! Really appreciate the advice. What worked for me was getting some exercise (went for a 50 minute walk, 10 minute jog), keeping my fluid intake up, and (since I have a restrict/purge type disorder) thinking about how much I'd rather not feel like I have to make myself sick. I also have moved from my regular place on my laptop in the family room (which is connected to the kitchen) up to my bedroom so I'm not as close and don't feel as tempted to go into the kitchen.

    As for the "putting extra portions away" - if I made a full package of something like mac-n-cheese and put the majority of it away in the freezer, I know that I would have a VERY hard time not taking it out once I'm done my portion. I don't ever really "binge" but I do lack some control when it comes to portions.

    And regarding getting rid of the bad-for-me stuff, I live at my parents (I'm 20) so I can't just go throwing out their food. Best I can do is learn to control my cravings and portions. Thanks everyone!
  • LinziT123
    LinziT123 Posts: 43 Member

    heres what ive been doing today, if i think i gonna do a fridge raid i get up and walk, even if its back and forth in the living room (which ive been doing today) and time yourself, and log how long you walked for..its amazing how much calories can be burned even if its 5 mins!!!:smile: im hoping that is gonna help me keep on track and get some calorie burn in! xx
  • xscat
    xscat Posts: 80 Member
    Took a look at your dairy and it looks like you've been eating less than 500kcal a day and calling yourself "doing good"?
  • karmac0matic
    karmac0matic Posts: 285
    I think i mentioned somewhere I have disordered tendencies (I apologize if i never did... i've had disorders mostly ednos since i was 11). when i say doing good, it means i'm actually eating something and haven't purged at all that day and getting some exercise. i'm working on working up my calories. i know it's not great but i am trying. i had lunch and breakfast today which is more than i can usually say.

    i dont want to crave something, feel like i ate too much, and then feel the need to purge basically. so comparatively speaking, i'm doing well. . .
  • xscat
    xscat Posts: 80 Member
    Understand where you are coming from then. It IS hard. I've been there :)

    Yes at early stages of recovery not purging is a success already. What helped me was to eat things your stomach is comfortable with to ease my body in digesting food again....basically carbs for me.... Not super healthy i know, but sometimes we really have to focus only on one priority :)
  • kimmers1027
    kimmers1027 Posts: 122
    Water with lemon really helps with the cravings for me. It keeps me full. :)) Good luck.
  • birkona
    birkona Posts: 24
    When I started eating healthy and exercising two weeks ago, I had the roughest time trying to fight off chocolate cravings. It was like I would crave chocolate all day, everyday. Then I read online that lemon water helps reduce cravings.

    I started taking a cup and a half of warm water and squeeze half a lemon in it, than i would cut the lemon into four parts and put it in the water. Make sure to keep the skin on, from what I read, that's what will keep your cravings low. It has helped me so far. I'm on week two and barely get any cravings now.

    Lemon water also has a ton more benefits to it. I usually drink it before lunch.
  • karmac0matic
    karmac0matic Posts: 285
    When I started eating healthy and exercising two weeks ago, I had the roughest time trying to fight off chocolate cravings. It was like I would crave chocolate all day, everyday. Then I read online that lemon water helps reduce cravings.

    I started taking a cup and a half of warm water and squeeze half a lemon in it, than i would cut the lemon into four parts and put it in the water. Make sure to keep the skin on, from what I read, that's what will keep your cravings low. It has helped me so far. I'm on week two and barely get any cravings now.

    Lemon water also has a ton more benefits to it. I usually drink it before lunch.

    That's actually a really good idea, I'm going to try that!
  • paintlisapurple
    paintlisapurple Posts: 982 Member
    Maybe try melting some really good cheese over some veggies?
  • Robyn7762
    Robyn7762 Posts: 159 Member
    I think i mentioned somewhere I have disordered tendencies (I apologize if i never did... i've had disorders mostly ednos since i was 11). when i say doing good, it means i'm actually eating something and haven't purged at all that day and getting some exercise. i'm working on working up my calories. i know it's not great but i am trying. i had lunch and breakfast today which is more than i can usually say.

    i dont want to crave something, feel like i ate too much, and then feel the need to purge basically. so comparatively speaking, i'm doing well. . .

[Next to the article, the page also holds data records]
1.
Entry from Alexandria: a relaxed DyHoEr2Th crystal (PBE).

Computed properties:
The value obtained for the total energy is -4.766 eV/atom. The formation enthalpy at 0 K is 0.379 eV/atom.

```
10
Lattice="8.3008 0.0000 0.0000 0.0000 6.1805 0.0000 -1.0628 0.0000 6.6151" Properties=species:S:1:pos:R:3 pbc="T T T"
Dy 0.0000 0.0000 0.0000
Dy -0.5314 0.0000 3.3075
Ho 3.8847 0.7805 1.6538
Ho 3.3533 5.4000 4.9613
Er 2.0660 2.3305 4.0439
Er 2.5974 3.8500 0.7363
Er 4.6405 2.3305 5.8788
Er 5.1719 3.8500 2.5712
Th -0.2657 2.8404 1.6538
Th -0.7971 3.3401 4.9613
```



2.
Entry from Alexandria: a relaxed Dy6Ho2ErTh crystal (PBE).

Computed properties:
The value obtained for the total energy is -4.725 eV/atom. The formation enthalpy at 0 K is 0.150 eV/atom.

```
20
Lattice="4.6264 -7.4703 0.0000 4.6264 7.4703 0.0000 -0.7535 0.0000 9.2282" Properties=species:S:1:pos:R:3 pbc="T T T"
Dy 2.5266 4.1671 1.7270
Dy 3.6904 4.8357 5.1638
Dy 4.4322 4.8357 8.6785
Dy 3.4375 1.7257 3.5951
Dy 6.3495 4.1671 2.8871
Dy 5.4386 1.7257 1.0190
Dy 3.0608 -1.7257 8.2092
Dy 2.1499 -4.1671 6.3412
Dy 5.0619 -1.7257 5.6332
Dy 4.0672 -4.8357 0.5497
Dy 4.8090 -4.8357 4.0644
Dy 5.9728 -4.1671 7.5012
Ho 2.3148 0.7754 0.5058
Ho 1.9380 -0.7754 5.1199
Ho 6.5614 0.7754 4.1083
Ho 6.1846 -0.7754 8.7224
Er 4.0613 1.2995 6.9212
Er 4.4381 -1.2995 2.3071
Th 4.4381 6.9607 2.3071
Th 4.0613 -6.9607 6.9212
```



3.
Entry from Alexandria: a relaxed Dy2Ho6ErTh crystal (PBE).

Computed properties:
The value obtained for the total energy is -4.714 eV/atom. The formation enthalpy at 0 K is 0.151 eV/atom.

```
20
Lattice="4.6127 -7.4861 0.0000 4.6127 7.4861 0.0000 -0.7061 0.0000 9.1863" Properties=species:S:1:pos:R:3 pbc="T T T"
Dy 1.9459 0.7915 4.0841
Dy 1.5929 -0.7915 8.6773
Dy 6.9264 0.7915 0.5091
Dy 6.5733 -0.7915 5.1022
Ho 3.0806 5.7481 8.1847
Ho 2.1768 3.3152 6.3162
Ho 5.0855 5.7481 5.5948
Ho 4.0698 2.6545 0.5514
Ho 4.8026 2.6545 4.0418
Ho 5.9894 3.3152 7.4632
Ho 2.5299 -3.3152 1.7231
Ho 3.7167 -2.6545 5.1445
Ho 4.4495 -2.6545 8.6350
Ho 3.4337 -5.7481 3.5915
Ho 6.3424 -3.3152 2.8701
Ho 5.4386 -5.7481 1.0016
Er 4.4362 6.1935 2.2966
Er 4.0831 -6.1935 6.8897
Th 4.0831 0.5162 6.8897
Th 4.4362 -0.5162 2.2966
```



4.
Entry from Alexandria: a relaxed DyHo2Er2Th crystal (PBE).

Computed properties:
The value obtained for the total energy is -4.879 eV/atom. The formation enthalpy at 0 K is 0.171 eV/atom.

```
12
Lattice="6.4155 0.0000 0.0000 0.0000 6.7527 0.0000 -0.9233 0.0000 8.7973" Properties=species:S:1:pos:R:3 pbc="T T T"
Dy 0.9823 1.6882 1.5012
Dy 4.5099 5.0645 7.2961
Ho 1.2751 6.7511 7.3844
Ho 1.2751 3.3779 7.3844
Ho 4.2171 0.0016 1.4129
Ho 4.2171 3.3748 1.4129
Er -0.0062 1.6882 4.6944
Er 2.2888 5.0645 4.4919
Er 3.2034 1.6882 4.3054
Er 5.4983 5.0645 4.1029
Th 1.0882 5.0645 1.3722
Th 4.4039 1.6882 7.4251
```



5.
Entry from Alexandria: a relaxed Dy6HoEr3Th2 crystal (PBE).

Computed properties:
The value obtained for the total energy is -5.034 eV/atom. The formation enthalpy at 0 K is 0.026 eV/atom.

    When your body is craving something ... especially with your eating disorder, it is needing what is in it. For instance Mac & Cheese, carbs. & protein! Pre-packed is loaded with sodium, but you probably need it.
    I know you are taking baby steps, I understand what you are going thru. One step at a time Karma! You can do this, one day at a time. I am here to support you! I care about you and you are a special person, and God loves you and made you who you are for a reason. You are special in HIS eyes and you are a worthy person. Worthy of love, and respect and friendship.

    Food is not your enemy, it was put her to nourish your body. To give you strength, energy, and for life! Without we will die. Without water we will die! You are a young beautiful women with a beautiful body!

    Baby steps and you will be fine. You can work thru this and be stronger. Sometimes the obstacles put in front of us are to make us stronger down the road. You can beat this obstacle in your life right now, once you get to the real reason you are doing this.

    I understand you need to take baby steps and this is hard for you. I am hear for you and I will help you if you want me to!
    Remember, you are special and God Loves You!
  • Francl27
    Francl27 Posts: 26,371 Member
    Tell yourself you'll have some tomorrow. And make room for it tomorrow.